environmental disasters the history of the nation. the deep water horizon rig was drilling 40 miles off the coast of louisiana when the explosion engulfed the rig in flame. the fire burned for 36 hours before the rig finally sank. over the course of the next 87 days, millions upon millions of barrels of crude oil spilled into the gulf. it s the biggest offshore spill the country has ever known. bp s then-ceo put his not in his mouth morn once. not even a month into the disaster tony heyward told the reporters the amount of oil spilled was, quote, tiny, compared to the size of the gulf. he also disputed scientists claims there were large plumes of oil beneath the surface and made just about everybody angry when he said famous lirked like my life back. so did countless other people who needed help. the oil stained more than a thousand miles of coastline from place to place.
tests on the deadly accident but destroyed the findings. the company which pay a $230,000 fine and make a $55 million donation to the national fish and wildlife foundation. wonder if that s tax deductible? 11 people died on the explosion on the deep water horizon rig. at juror in the second degree murder trial of george zimmerman spoke out thursday. the only minority on the six person jury that found zimmerman not guilty. she had some harsh words in an interview with abc news. george zimmerman got away with murder but you can t get away from god. at the end of the day, he s going to have a lot of questions and answers he has to deal with. the law couldn t prove it. joining me now from miami is nbc correspondent mark potter who s filed the zimmerman trial closely. it seems like she didn t want to let george zimmerman go free but
**Misplaced crystal structures**
~~~
1.
Li3Hg2 | Alexandria via LeMat-Bulk | PBE-GGA | relaxed; excess energy over the best structure of this formula in the dataset = 4 meV per atom; uncorrected energy = -15.92 eV/cell; formation enthalpy at 0 K = -31.1 kJ per mole of atoms
1.0
0.000 7.075 2.659
4.823 0.000 2.659
4.823 7.075 0.000
Li Hg
6 4
Direct
0.000 0.000 0.000
0.250 0.250 0.250
0.373 0.648 0.419
0.648 0.373 0.559
0.691 0.831 0.602
0.831 0.691 0.877
0.116 0.468 0.990
0.260 0.823 0.134
0.468 0.116 0.427
0.823 0.260 0.782

---

2.
Li4Hg | Alexandria via LeMat-Bulk | PBE-GGA | relaxed; excess energy over the best structure of this formula in the dataset = 218 meV per atom; uncorrected energy = -8.01 eV/cell; formation enthalpy at 0 K = -1.1 kJ per mole of atoms
1.0
-3.119 3.119 3.119
3.119 -3.119 3.119
3.119 3.119 -3.119
Li Hg
4 1
Direct
0.000 0.000 0.500
0.000 0.500 0.000
0.500 0.000 0.000
0.500 0.500 0.500
0.000 0.000 0.000

---

3.
LiHg8 | Alexandria via LeMat-Bulk | PBE-GGA | relaxed; uncorrected energy = -4.90 eV/cell; formation enthalpy at 0 K = -6.1 kJ per mole of atoms
1.0
-5.128 5.128 2.169
5.128 -5.128 2.169
5.128 5.128 -2.169
Li Hg
1 8
Direct
0.000 0.000 0.000
0.000 0.330 0.330
0.000 0.670 0.670
0.330 0.000 0.330
0.341 0.341 0.682
0.341 0.659 0.000
0.659 0.341 0.000
0.659 0.659 0.318
0.670 0.000 0.670

---

4.
Li4Hg3 | Alexandria via LeMat-Bulk | PBE-GGA | relaxed; excess energy over the best structure of this formula in the dataset = 0 meV per atom; uncorrected energy = -11.03 eV/cell; formation enthalpy at 0 K = -34.0 kJ per mole of atoms
1.0
10.860 -1.720 0.000
10.860 1.720 0.000
-0.497 0.000 3.401
Li Hg
4 3
Direct
0.073 0.073 0.072
0.214 0.214 0.212
0.786 0.786 0.788
0.927 0.927 0.928
0.351 0.351 0.353
0.500 0.500 0.500
0.649 0.649 0.647

---

5.
LiHg3 | Alexandria via LeMat-Bulk | PBE-GGA | relaxed; uncorrected energy = -3.56 eV/cell; formation enthalpy at 0 K = -17.8 kJ per mole of atoms
1.0
3.414 0.000 0.000
0.000 3.414 0.000
0.000 0.000 7.672
Li Hg
1 3
Direct
0.000 0.000 0.000
0.000 0.000 0.500
0.500 0.500 0.221
0.500 0.500 0.779

---

6.
Li4Hg3 | Alexandria via LeMat-Bulk | PBE-GGA | relaxed; excess energy over the best structure of this formula in the dataset = 50 meV per atom; uncorrected energy = -10.68 eV/cell; formation enthalpy at 0 K = -29.2 kJ per mole of atoms
1.0
2.334 1.348 7.343
-2.334 1.348 7.343
0.000 -2.695 7.343
Li Hg
4 3
Direct
0.114 0.114 0.114
0.370 0.370 0.370
0.630 0.630 0.630
0.886 0.886 0.886
0.246 0.246 0.246
0.500 0.500 0.500
0.754 0.754 0.754

=====

# 1
RbNa3Ge: relaxed, GGA-PBE.

Cell: 5.819 5.819 5.819 Å, 90.00 90.00 90.00°
Atoms (fractional coordinates):
1 Ge 0.000 0.000 0.000
2 Na 0.000 0.000 0.500
3 Na 0.000 0.500 0.000
4 Na 0.500 0.000 0.000
5 Rb 0.500 0.500 0.500

E_tot, eV per atom: -1.919
Calculated volume, Å³ per cell: 197.1
M_tot, μB/f.u.: 0.0
Energy of formation from the pure elements, eV per atom: -0.0107


# 2
Pm4Si3Pd: relaxed, GGA-PBE.

Cell: 4.326 4.016 11.075 Å, 90.00 90.00 90.00°
Atoms (fractional coordinates):
~~~
**End of the crystal structures**
pleaded guilty to a number of criminal charges including manslaughter. but now that billions of dollars is on the line in a civil trial, bp s lawyers seem to be gearing up for a fight. casey stiegel is covering the trial. what else have we heard today? reporter: a man neighborhood robert dee has been on the and has been dubbed the master of disaster, because he has investigated and studied a number of incidents like the levees her in new orleans following hush katrina, the shuttle doctors, he worked oregon the ex-on valdez oil spill and has served as consultant in the past to bp himself testimony today has been powerful. he said the oil giant did have a safety management program but there was just one problem. he says it was not implemented on the deep water horizon rig.
Unrelated to this text: calculated crystals =
........
--- i ---
MgVSe GGA-PBE optimized geometry; size of the total moment = 0.00 μB/atom; space group = Cm; DOS(E_F) = 0.8 states/eV/cell
1.0
11.2129 0.0000 0.0000
0.0000 3.5088 0.0000
-2.3592 0.0000 6.1261
Mg V Se
4 4 4
Direct
0.0000 0.0000 0.0000 Mg
0.2080 0.5000 0.3479 Mg
0.5000 0.5000 0.0000 Mg
0.7080 0.0000 0.3479 Mg
0.0422 0.0000 0.4927 V
0.2139 0.0000 0.7037 V
0.5422 0.5000 0.4927 V
0.7139 0.5000 0.7037 V
0.2472 0.5000 0.9860 Se
0.4228 0.0000 0.6303 Se
0.7472 0.0000 0.9860 Se
0.9228 0.5000 0.6303 Se

=====

--- ii ---
MgVSe GGA-PBE optimized geometry; size of the total moment = 0.00 μB/atom; space group = Cm
1.0
12.3839 0.0000 0.0000
0.0000 3.5555 0.0000
-1.8293 0.0000 5.5653
Mg V Se
4 4 4
Direct
0.0000 0.0000 0.0000 Mg
0.1814 0.5000 0.9135 Mg
0.5000 0.5000 0.0000 Mg
0.6814 0.0000 0.9135 Mg
0.0444 0.0000 0.5507 V
0.3869 0.5000 0.4028 V
0.5444 0.5000 0.5507 V
0.8869 0.0000 0.4028 V
0.1538 0.5000 0.3881 Se
0.3514 0.0000 0.0764 Se
0.6538 0.0000 0.3881 Se
0.8514 0.5000 0.0764 Se

=====

--- iii ---
MgVSe GGA-PBE optimized geometry; size of the total moment = 0.00 μB/atom; space group = C2/m; DOS(E_F) = 2.0 states/eV/cell
1.0
10.0565 0.0000 0.0000
0.0000 4.6533 0.0000
-4.3040 0.0000 5.0781
Mg V Se
4 4 4
Direct
0.2365 0.0000 0.3383 Mg
0.2635 0.5000 0.6617 Mg
0.7365 0.5000 0.3383 Mg
0.7635 0.0000 0.6617 Mg
0.0511 0.5000 0.9141 V
0.4489 0.0000 0.0859 V
0.5511 0.0000 0.9141 V
0.9489 0.5000 0.0859 V
0.0957 0.0000 0.8315 Se
0.4043 0.5000 0.1685 Se
0.5957 0.5000 0.8315 Se
0.9043 0.0000 0.1685 Se

=====

--- iv ---
MgVSe GGA-PBE optimized geometry; size of the total moment = 0.00 μB/atom; space group = C2; DOS(E_F) = 9.3 states/eV/cell
1.0
9.6040 0.0000 0.0000
........
Here the text continues =
folks, particularly when it comes to confidence, it was down in january because folks took a hit with that payroll tax cut expiring and social security taxes. i wonder, the banks have these strict guidelines now. much stricter than before because of the huge banking debacle. so i wonder are they lending money to folks who want to buy a home. that s going to be an issue. that always helps spur things on. the bank loosens its grip on the green. and the federal reserve expected to release a statement that could have an impact on the markets in terms of their latest economic outlook. so stay tuned for that. oil giant bp and the justice department have agreed to a record settlement in connection with the 2010 gulf oil disaster. in addition to paying $4 billion in penalties, the company agreed to plead guilty to manslaughter for the deaths of 11 workers on the deep water horizon rig. bp could pay billions more in environmental damage. another financial headline for you. there could b
Materials data that have nothing to do with the text >
Entry 1:
Here is a relaxed structure of DyInPb2 from Alexandria. Energies are from GGA-PBE.

Calculated values
Relative energy among the computed polymorphs   0.241 eV/atom
Total energy   -0.138 Ha/atom
Size of the total moment   0.00 μB/f.u.
Energy relative to the elements   -0.066 eV/atom

Cell: 4.778 4.778 6.964 Å, 69.93 69.93 60.00°
Sites, in units of the cell vectors:
Dy1 0.670 0.670 0.990
In1 0.496 0.496 0.512
Pb1 0.081 0.081 0.758
Pb2 0.253 0.253 0.241


Entry 2:
Here is a relaxed structure of Dy3Y6Tl from Alexandria. Energies are from GGA-PBE.

Calculated values
Relative energy among the computed polymorphs   0.000 eV/atom
Total energy   -0.204 Ha/atom
Size of the total moment   0.00 μB/f.u.
Energy relative to the elements   -0.042 eV/atom

Cell: 5.033 10.961 11.329 Å, 92.63 90.00 90.00°
Sites, in units of the cell vectors:
Dy1 0.250 0.553 0.401
Dy2 0.750 0.447 0.599
Dy3 0.250 0.343 0.792
Dy4 0.750 0.657 0.208
Dy5 0.250 0.752 0.013
Dy6 0.750 0.248 0.987
Y1 0.250 0.451 0.100
Y2 0.750 0.549 0.900
Y3 0.250 0.157 0.186
Y4 0.750 0.843 0.814
Y5 0.250 0.650 0.703
Y6 0.750 0.350 0.297
Y7 0.250 0.229 0.490
Y8 0.750 0.771 0.510
Y9 0.250 0.874 0.322
Y10 0.750 0.126 0.678
Y11 0.250 0.046 0.895
Y12 0.750 0.954 0.105
Tl1 0.250 0.936 0.622
Tl2 0.750 0.064 0.378


Entry 3:
Here is a relaxed structure of AcTb2NdHo5 from Alexandria. Energies are from GGA-PBE.

Calculated values
Total energy   -0.158 Ha/atom
Size of the total moment   0.00 μB/f.u.
Energy relative to the elements   0.265 eV/atom

Cell: 8.885 8.885 9.920 Å, 116.60 116.60 90.00°
Sites, in units of the cell vectors:
Ac1 0.250 0.250 0.500
Ac2 0.750 0.750 0.500
Tb1 0.115 0.385 0.000
Tb2 0.615 0.115 0.000
Tb3 0.385 0.885 0.000
Tb4 0.885 0.615 0.000
Nd1 0.250 0.750 0.500
Nd2 0.750 0.250 0.500
Ho1 0.925 0.425 0.255
Ho2 0.670 0.170 0.745
Ho3 0.075 0.575 0.745
Ho4 0.170 0.075 0.745
Ho5 0.575 0.670 0.745
Ho6 0.830 0.925 0.255
Ho7 0.425 0.330 0.255
Ho8 0.330 0.830 0.255
Ho9 0.500 0.500 0.000
Ho10 0.000 0.000 0.000
psychologically for a lot of folks, particularly when it comes to confidence, it was down in january because folks took a hit with that payroll tax cut expiring and social security taxes. i wonder, the banks have these strict guidelines now. much stricter than before because of the huge banking debacle. so i wonder are they lending money to folks who want to buy a home. that s going to be an issue. that always helps spur things on. the bank loosens its grip on the green. and the federal reserve expected to release a statement that could have an impact on the markets in terms of their latest economic outlook. so stay tuned for that. oil giant bp and the justice department have agreed to a record settlement in connection with the 2010 gulf oil disaster. in addition to paying $4 billion in penalties, the company agreed to plead guilty to manslaughter for the deaths of 11 workers on the deep water horizon rig. bp could pay billions more in environmental damage. another financial he